Nel 2023 la produzione di vino più bassa degli ultimi 60 anni e l’Italia perde il primato mondiale. I dati dell’Oiv sulla vendemia mondiale.
Sospiri di monaca, ricetta siciliana
Sospiri di monaca: ricetta tradizionale siciliana e precisamente messinese, per un dolce delizioso e facile, con pasta savoiardo e ricotta.
From Sawdust to Success With
Jolie Karno will be the first person to admit that she’s not technologically literate. As a wood-turner in Oakland, California, she works with her hands day in and day out and doesn’t want to spend hours fiddling with a website. Of course Jolie needs to make a living, though, so she wanted a website to Continua a leggere..
From Sawdust to Success With
Jolie Karno will be the first person to admit that she’s not technologically literate. As a wood-turner in Oakland, California, she works with her hands day in and day out and doesn’t want to spend hours fiddling with a website. Of course Jolie needs to make a living, though, so she wanted a website to Continua a leggere..
What comes next are molecular data, not part of the piece.
┌──
Formula: C81H168F24N7O18P3S8
Source: the Open Molecules 2025 dataset
Level of theory: ωB97M-V/def2-TZVPD

## Properties
LUMO level ... -2.681 eV
Largest force on an atom ... 4.78 eV/A
Energy relative to the best compared isomer or geometry (same formula, charge and spin) ... 14.12 kcal/mol
Net charge ... +2
E_tot ... -11530.3802 a.u.
Molar mass ... 2333.7 Da

Element x y z (Å)
1 C 8.850 -2.471 7.633
2 C 7.659 -2.859 6.795
3 C 7.008 -1.673 6.119
4 C 6.146 -0.760 7.103
5 P 5.802 0.796 6.404
6 C 5.111 0.615 4.784
7 C 4.640 1.932 4.158
8 C 4.147 1.924 2.688
9 C 4.301 3.260 1.947
10 C 7.386 1.658 6.368
11 C 8.081 1.844 7.705
12 C 9.319 2.740 7.448
13 C 9.900 3.254 8.788
14 C 4.735 1.750 7.503
15 C 3.397 1.086 7.699
16 C 2.535 1.974 8.709
17 C 1.116 1.307 8.676
18 H 9.769 -2.202 7.020
19 H 9.110 -3.294 8.358
20 H 8.701 -1.598 8.273
21 H 6.942 -3.364 7.423
22 H 8.039 -3.605 6.036
23 H 6.318 -1.904 5.291
24 H 7.735 -0.994 5.645
25 H 6.572 -0.529 8.069
26 H 5.234 -1.323 7.237
27 H 4.278 -0.061 4.985
28 H 5.819 0.101 4.209
29 H 5.448 2.611 4.282
30 H 3.853 2.371 4.787
31 H 3.044 1.760 2.727
32 H 4.645 1.146 2.182
33 H 3.627 3.956 2.434
34 H 3.984 3.092 0.902
35 H 5.288 3.648 1.930
36 H 7.069 2.618 5.971
37 H 8.046 1.156 5.665
38 H 8.244 0.934 8.225
39 H 7.427 2.465 8.351
40 H 9.110 3.582 6.744
41 H 10.061 2.194 6.834
42 H 9.319 4.026 9.209
43 H 10.903 3.632 8.611
44 H 9.891 2.459 9.533
45 H 4.653 2.704 6.999
46 H 5.230 1.852 8.465
47 H 3.549 0.120 8.332
48 H 2.940 0.898 6.786
49 H 2.618 2.969 8.359
50 H 2.912 1.911 9.723
51 H 0.691 1.344 7.658
52 H 0.507 1.806 9.434
53 H 1.121 0.280 8.996
54 C -5.069 8.275 2.398
55 C -5.597 8.010 3.846
56 C -5.131 6.688 4.531
57 C -3.515 6.699 4.694
58 P -2.752 5.069 4.905
59 C -3.728 4.194 6.143
60 C -3.547 4.929 7.518
61 C -4.576 4.407 8.523
62 C -5.946 5.025 8.274
63 C -2.749 4.142 3.342
64 C -2.799 4.995 2.036
65 C -1.640 5.843 1.571
66 C -0.337 5.069 1.347
67 C -1.061 5.398 5.382
68 C -0.129 4.206 5.417
69 C 1.333 4.341 5.911
70 C 2.171 5.121 4.920
71 H -5.563 7.603 1.699
72 H -4.013 8.067 2.303
73 H -5.183 9.255 2.049
74 H -6.650 8.060 3.859
75 H -5.226 8.755 4.473
76 H -5.527 5.781 4.118
77 H -5.566 6.715 5.499
78 H -3.244 7.321 5.525
79 H -3.015 7.073 3.752
80 H -3.403 3.146 6.224
81 H -4.786 4.232 5.745
82 H -3.682 5.991 7.321
83 H -2.511 4.820 7.936
84 H -4.133 4.729 9.423
85 H -4.577 3.315 8.539
86 H -5.822 6.101 8.435
87 H -6.770 4.641 8.881
88 H -6.404 5.071 7.273
89 H -3.601 3.374 3.370
90 H -1.868 3.511 3.479
91 H -3.593 5.700 2.146
92 H -3.194 4.324 1.275
93 H -1.393 6.676 2.205
94 H -1.913 6.297 0.646
95 H 0.000 4.612 2.284
96 H 0.463 5.758 0.964
97 H -0.498 4.210 0.659
98 H -1.211 5.915 6.286
99 H -0.765 6.130 4.642
100 H -0.017 3.822 4.333
101 H -0.466 3.322 6.001
102 H 1.635 3.243 5.832
103 H 1.411 4.679 6.955
104 H 2.049 6.215 4.978
105 H 1.897 4.710 3.923
106 H 3.230 4.901 5.096
107 C -4.839 -3.756 1.893
108 C -5.110 -4.898 0.907
109 C -5.666 -4.429 -0.390
110 C -6.021 -5.598 -1.339
└──
Involtini di mortadella e scamorza con pomodorini
Involtini di mortadella e scamorza con pomodorini Gli involtini di mortadella ripiena di scamorza con pomodorini sono un secondo piatto semplice e molto gustoso. Si tratta di fette di mortadella ripiene di scamorza e poi ripassate giusto un paio di minuti per lato in un sugo di pomodorini freschi. Il risultato è un saporito scrigno Continua a leggere..
From Sawdust to Success With
Jolie Karno will be the first person to admit that she’s not technologically literate. As a wood-turner in Oakland, California, she works with her hands day in and day out and doesn’t want to spend hours fiddling with a website. Of course Jolie needs to make a living, though, so she wanted a website to Continua a leggere..
#IMPARIAMOADUSARELAFRIGGITRICEADARIA: salviamo le piadine avanzate nella confezione grazie alla friggitrice ad aria
Normalmente i pacchi delle piadine del supermercato sono da tre pezzi, quindi una famiglia di 4 persone come la nostra deve aprire due pacchi da tre e si ritrova con una o due piadine di avanzo e sappiamo tutti che la maggior parte delle volte vanno a finire male, o per muffa o perché si seccano. La Continua a leggere..
Learn to Design Your Own Theme in Our Newest Webinar
Choosing your site’s design is a crucial first step in the creation of any new website and is key to conveying your brand or message online. Our new option to “Design Your Own Theme” revolutionizes this process by introducing predefined Block Patterns, which act as modular elements for your unique design. This groundbreaking tool provides Continua a leggere..
From Sawdust to Success With
Jolie Karno will be the first person to admit that she’s not technologically literate. As a wood-turner in Oakland, California, she works with her hands day in and day out and doesn’t want to spend hours fiddling with a website. Of course Jolie needs to make a living, though, so she wanted a website to Continua a leggere..
Quantum chemistry results from another source follow.
'''
1.
{
  "formula": "C2HClF3O2S",
  "method": "wB97M-V/def2-TZVPD",
  "homo_ha": [-0.1760, -0.1672],
  "fmax_ev_per_a": 3.4,
  "de_lowest_kj_mol": 462.1,
  "charge": -1,
  "elements": ["C", "C", "O", "O", "F", "F", "F", "S", "Cl", "H"],
  "coordinates": [[-0.5242, -0.3698, -0.0570], [0.4098, 0.1299, 0.9932], [-0.8423, -0.1382, -2.7518], [0.2923, 1.4789, -1.5035], [-1.8060, -0.2352, 0.2676], [1.6510, 0.0971, 0.6120], [0.3900, -0.3851, 2.3018], [0.3119, 0.0788, -1.8768], [0.1020, 1.9205, 1.4741], [0.0154, -2.5770, 0.5404]],
  "forces_ev_per_a": [[1.17, -1.88, 0.67], [-0.94, 1.67, 2.77], [0.26, -1.14, -0.63], [1.35, 1.75, 0.17], [0.31, 0.16, -0.28], [1.21, -0.62, -0.58], [-0.35, -0.70, -1.40], [-2.46, -0.21, 0.10], [-0.29, -0.18, -0.45], [-0.25, 1.16, -0.36]]
}

---

2.
{
  "formula": "C2HClFN3",
  "method": "wB97M-V/def2-TZVPD",
  "homo_ha": -0.3896,
  "fmax_ev_per_a": 4.1,
  "de_lowest_kj_mol": 212.0,
  "smiles": "FC1N=N1.N#CCl",
  "charge": 0,
  "elements": ["F", "C", "N", "N", "H", "N", "C", "Cl"],
  "coordinates": [[-2.2979, 1.5312, -0.3228], [-0.9939, 1.2802, -0.3009], [-0.3299, 0.5662, -1.3828], [-0.6302, -0.1070, -0.4109], [-0.2397, 1.9154, 0.3940], [2.5901, -1.2486, 0.1799], [1.6100, -1.6571, 0.6027], [0.2916, -2.2803, 1.2409]],
  "forces_ev_per_a": [[-0.16, 0.44, -0.27], [3.53, 0.50, 1.99], [-0.67, 0.76, -0.69], [-0.25, -0.17, 0.32], [-2.62, -1.13, -1.67], [0.71, 0.46, -0.42], [0.54, 0.04, -0.09], [-1.09, -0.89, 0.83]]
}

---

3.
{
  "formula": "C2HClFO2",
  "method": "wB97M-V/def2-TZVPD",
  "homo_ha": -0.1525,
  "fmax_ev_per_a": 3.2,
  "de_lowest_kj_mol": 0.0,
  "smiles": "O=C([O-])[C@H](F)Cl",
  "charge": -1,
  "elements": ["O", "C", "O", "C", "F", "Cl", "H"],
  "coordinates": [[0.3937, 0.2887, -1.7432], [-0.0645, 0.7448, -0.7261], [-0.3839, 1.8412, -0.3098], [-0.0627, -0.3961, 0.5291], [1.2224, -0.2680, 1.0456], [-0.2473, -2.0305, -0.0870], [-0.8576, -0.1802, 1.2914]],
  "forces_ev_per_a": [[0.43, -0.29, -2.04], [0.25, -1.96, 2.46], [-0.71, 1.56, 0.28], [-0.41, 1.92, -1.01], [-0.45, -0.29, 0.54], [-0.14, -0.62, 0.16], [1.04, -0.34, -0.39]]
}

---

4.
{
  "formula": "C2HClIN",
  "method": "wB97M-V/def2-TZVPD",
  "homo_ha": -0.3500,
  "fmax_ev_per_a": 1.1,
  "de_lowest_kj_mol": 241.9,
  "charge": 0,
  "elements": ["C", "C", "N", "Cl", "I", "H"],
  "coordinates": [[-1.3195, -0.1184, -0.3065], [2.0701, 0.4451, -0.1547], [-2.3785, -0.0474, -0.7200], [1.9419, 2.0804, -0.0070], [4.0113, -0.3103, 0.0099], [-0.3233, -0.1910, 0.0501]],
  "forces_ev_per_a": [[0.26, -0.06, 0.10], [-0.16, -1.13, 0.01], [-0.70, 0.07, -0.24], [0.22, 0.89, 0.07], [-0.09, 0.25, -0.02], [0.47, -0.03, 0.08]]
}

----------

Here is a structure of composition C32H49IrN9O6PS from the OMol25 dataset. Energies are from ωB97M-V with the def2-TZVPD basis set.

```
99
Properties=species:S:1:pos:R:3:forces:R:3
Ir -0.53973 -1.04448 -0.29959 -0.008 0.017 -0.025
C -2.65471 -4.12334 1.75137 -0.003 0.002 0.007
C -2.41633 -2.84108 1.01531 0.039 0.012 -0.002
'''
Learn to Design Your Own Theme in Our Newest Webinar
Choosing your site’s design is a crucial first step in the creation of any new website and is key to conveying your brand or message online. Our new option to “Design Your Own Theme” revolutionizes this process by introducing predefined Block Patterns, which act as modular elements for your unique design. This groundbreaking tool provides Continua a leggere..